Brief >
Could you copy all of the calculation results underneath without additions?
Material >
┌──
{"formula": "C8H24O8", "method": "ωB97M-V/def2-TZVPD", "e_above_lowest_kj_mol": 91.8, "homo_ev": -10.113, "species": ["O", "C", "C", "O", "H", "H", "H", "H", "H", "H", "O", "C", "C", "O", "H", "H", "H", "H", "H", "H", "O", "C", "C", "O", "H", "H", "H", "H", "H", "H", "O", "C", "C", "O", "H", "H", "H", "H", "H", "H"], "coordinates": [[3.046, -1.180, 3.591], [3.060, 0.137, 4.104], [2.436, 1.153, 3.152], [2.863, 1.015, 1.800], [3.655, -1.247, 2.849], [2.474, 0.128, 5.024], [4.073, 0.414, 4.421], [2.718, 2.169, 3.420], [1.349, 1.016, 3.188], [2.762, 0.099, 1.526], [-0.855, -1.076, -2.916], [-1.046, -2.211, -3.753], [-0.514, -1.929, -5.147], [-0.760, -3.016, -6.023], [-1.700, -0.898, -2.496], [-0.500, -3.073, -3.346], [-2.093, -2.517, -3.815], [0.558, -1.703, -5.096], [-0.984, -1.035, -5.558], [-0.258, -3.771, -5.698], [-1.372, -0.440, 2.297], [-0.147, -0.942, 1.782], [-0.371, -2.123, 0.849], [-1.222, -3.145, 1.331], [-1.578, 0.311, 1.725], [0.337, -0.172, 1.167], [0.565, -1.212, 2.567], [0.601, -2.553, 0.567], [-0.779, -1.736, -0.093], [-1.364, -2.978, 2.268], [-1.601, 2.085, 0.948], [-1.322, 2.516, -0.359], [-1.352, 4.031, -0.575], [-2.611, 4.546, -1.002], [-0.917, 2.409, 1.542], [-0.338, 2.172, -0.714], [-2.000, 2.044, -1.076], [-0.601, 4.302, -1.323], [-1.127, 4.538, 0.364], [-3.088, 3.874, -1.495]], "forces_ev_per_angstrom": [[-0.4, -0.2, -0.1], [0.4, 0.3, 0.4], [-0.1, -0.4, -0.4], [0.4, 0.1, 0.1], [0.2, 0.1, 0.1], [-0.1, -0.1, -0.1], [0.0, 0.1, -0.3], [-0.2, 0.0, 0.3], [0.0, 0.2, 0.1], [-0.2, -0.1, 0.0], [-0.2, -0.1, 0.0], [0.2, -0.3, -0.1], [0.3, 0.2, 0.1], [-0.1, 0.1, 0.1], [0.1, 0.1, 0.1], [0.0, 0.1, 0.1], [0.0, 0.2, 0.0], [0.0, 0.0, 0.1], [-0.2, -0.2, -0.1], [0.0, 0.0, -0.1], [0.6, -0.1, 0.1], [0.0, -0.2, -0.5], [0.2, 0.1, -0.7], [0.2, 0.2, 0.2], [-0.4, 0.1, 0.1], [0.2, 0.0, 0.1], [-0.3, 0.0, 0.3], [0.0, 0.0, 0.2], [-0.2, -0.1, 0.1], [-0.2, 0.0, 0.0], [-0.3, -0.3, 0.2], [1.0, 0.5, -1.1], [-0.5, -0.1, -0.2], [0.0, 0.0, 0.3], [0.0, 0.1, 0.0], [0.0, -0.1, 0.4], [-0.4, -0.1, 0.4], [0.1, 0.0, 0.1], [0.2, 0.0, 0.0], [0.1, 0.0, 0.0]]}
└──
Reply >
{"formula": "C8H24O8", "method": "ωB97M-V/def2-TZVPD", "e_above_lowest_kj_mol": 91.8, "homo_ev": -10.113, "species": ["O", "C", "C", "O", "H", "H", "H", "H", "H", "H", "O", "C", "C", "O", "H", "H", "H", "H", "H", "H", "O", "C", "C", "O", "H", "H", "H", "H", "H", "H", "O", "C", "C", "O", "H", "H", "H", "H", "H", "H"], "coordinates": [[3.046, -1.180, 3.591], [3.060, 0.137, 4.104], [2.436, 1.153, 3.152], [2.863, 1.015, 1.800], [3.655, -1.247, 2.849], [2.474, 0.128, 5.024], [4.073, 0.414, 4.421], [2.718, 2.169, 3.420], [1.349, 1.016, 3.188], [2.762, 0.099, 1.526], [-0.855, -1.076, -2.916], [-1.046, -2.211, -3.753], [-0.514, -1.929, -5.147], [-0.760, -3.016, -6.023], [-1.700, -0.898, -2.496], [-0.500, -3.073, -3.346], [-2.093, -2.517, -3.815], [0.558, -1.703, -5.096], [-0.984, -1.035, -5.558], [-0.258, -3.771, -5.698], [-1.372, -0.440, 2.297], [-0.147, -0.942, 1.782], [-0.371, -2.123, 0.849], [-1.222, -3.145, 1.331], [-1.578, 0.311, 1.725], [0.337, -0.172, 1.167], [0.565, -1.212, 2.567], [0.601, -2.553, 0.567], [-0.779, -1.736, -0.093], [-1.364, -2.978, 2.268], [-1.601, 2.085, 0.948], [-1.322, 2.516, -0.359], [-1.352, 4.031, -0.575], [-2.611, 4.546, -1.002], [-0.917, 2.409, 1.542], [-0.338, 2.172, -0.714], [-2.000, 2.044, -1.076], [-0.601, 4.302, -1.323], [-1.127, 4.538, 0.364], [-3.088, 3.874, -1.495]], "forces_ev_per_angstrom": [[-0.4, -0.2, -0.1], [0.4, 0.3, 0.4], [-0.1, -0.4, -0.4], [0.4, 0.1, 0.1], [0.2, 0.1, 0.1], [-0.1, -0.1, -0.1], [0.0, 0.1, -0.3], [-0.2, 0.0, 0.3], [0.0, 0.2, 0.1], [-0.2, -0.1, 0.0], [-0.2, -0.1, 0.0], [0.2, -0.3, -0.1], [0.3, 0.2, 0.1], [-0.1, 0.1, 0.1], [0.1, 0.1, 0.1], [0.0, 0.1, 0.1], [0.0, 0.2, 0.0], [0.0, 0.0, 0.1], [-0.2, -0.2, -0.1], [0.0, 0.0, -0.1], [0.6, -0.1, 0.1], [0.0, -0.2, -0.5], [0.2, 0.1, -0.7], [0.2, 0.2, 0.2], [-0.4, 0.1, 0.1], [0.2, 0.0, 0.1], [-0.3, 0.0, 0.3], [0.0, 0.0, 0.2], [-0.2, -0.1, 0.1], [-0.2, 0.0, 0.0], [-0.3, -0.3, 0.2], [1.0, 0.5, -1.1], [-0.5, -0.1, -0.2], [0.0, 0.0, 0.3], [0.0, 0.1, 0.0], [0.0, -0.1, 0.4], [-0.4, -0.1, 0.4], [0.1, 0.0, 0.1], [0.2, 0.0, 0.0], [0.1, 0.0, 0.0]]}